I have been hearing from more and more folks that this article is an important part of their routine when they pick up the Mississippi Catholic, and I’d like to thank you for that encouragement! This really was the first way that I started to communicate with vocation supporters way back when I started as vocation director for the diocese. We just launched a new monthly newsletter that we want to get to all vocation supporters via our diocesan Flocknote email system. If you have participated in the Homegrown Harvest Festival, signed up to be a member of the Women’s Burse Club, or have given any donation to the Vocation Office in recent years, you should have received an email about our January activities in the vocation office. We will send this newsletter out to any Vocation Supporter who wants it, and so if you would like to receive these updates and are not, please let Rebecca Harris, our diocesan development director, know at rebecca.harris@jacksondiocese.org.

I sent letters and emails to our Women’s Burse Club members at the start of the year to let them know that we’ll be merging that group under the larger vocation supporter umbrella. That way, everyone who supports vocations will be able to know what we’re doing in the department. I’d really like to thank the development office; they are always willing to work with me and they give me good ideas on how to communicate our message more clearly.
That message continues to be this: We are creating a culture of vocations by calling forth more young men to consider whether or not he is called to the seminary. With the help of our friends at Vianney Vocations we have a system in place to accompany those young men with consistency and quality, and we look forward to seeing what the Lord will do with our work. So far two young men are applying for entrance in the seminary in the Fall of 2025, and our spring discernment groups are about to launch, so please pray for a few more applicants in the coming weeks and months. We still have our goal of 33 seminarians by the year 2030! I believe we can get there; I know it sounds crazy, but with God, anything is possible!
Our Homegrown Harvest Festival is officially set for Oct. 11, 2025. It will be held at St. Francis of Assisi Parish in Madison. Please save the date and thank you to Father Albeen Vatti and his staff at St. Francis for welcoming us back to their wonderful parish grounds. We are excited, I hope you’ll join us this fall!
### Someone pasted data records at this point
____________
No. 1
VASP calculation (meta-GGA r2SCAN) on crystalline Mg at its relaxed geometry.

Unit cell a=3.1854 b=3.1854 c=23.0996 alpha=90.00 beta=90.00 gamma=120.00
Sites, in units of the cell vectors:
Mg: 0.0000 0.0000 0.0000
Mg: 0.0000 0.0000 0.2219
Mg: 0.6667 0.3333 0.1114
Mg: 0.6667 0.3333 0.3333
Mg: 0.6667 0.3333 0.5553
Mg: 0.3333 0.6667 0.4447
Mg: 0.3333 0.6667 0.6667
Mg: 0.3333 0.6667 0.8886
Mg: 0.0000 0.0000 0.7781

Properties
formation enthalpy at 0 K = 1 kJ/mol of atoms
total DFT energy (no corrections) = -4.158 eV per formula unit


No. 2
VASP calculation (meta-GGA r2SCAN) on crystalline Li9Ge4 at its relaxed geometry.

Unit cell a=4.4291 b=4.4291 c=23.5313 alpha=90.00 beta=90.00 gamma=120.33
Sites, in units of the cell vectors:
Li: 0.8464 0.1536 0.2500
Li: 0.1536 0.8464 0.7500
Li: 0.1632 0.8368 0.5171
Li: 0.8368 0.1632 0.4829
Li: 0.8368 0.1632 0.0171
Li: 0.1632 0.8368 0.9829
Li: 0.1533 0.8467 0.6316
Li: 0.8467 0.1533 0.3684
Li: 0.8238 0.1762 0.5934
Li: 0.1762 0.8238 0.4066
Li: 0.1762 0.8238 0.0934
Li: 0.8238 0.1762 0.9066
Li: 0.4873 0.5127 0.8236
Li: 0.5127 0.4873 0.1764
Li: 0.5127 0.4873 0.3236
Li: 0.4873 0.5127 0.6764
Li: 0.1533 0.8467 0.8684
Li: 0.8467 0.1533 0.1316
Ge: 0.4945 0.5055 0.5541
Ge: 0.5055 0.4945 0.4459
Ge: 0.5055 0.4945 0.0541
Ge: 0.4945 0.5055 0.9459
Ge: 0.8204 0.1796 0.6993
Ge: 0.1796 0.8204 0.3007
Ge: 0.1796 0.8204 0.1993
Ge: 0.8204 0.1796 0.8007

Properties
formation enthalpy at 0 K = -38 kJ/mol of atoms
total DFT energy (no corrections) = -82.088 eV per formula unit


No. 3
VASP calculation (meta-GGA r2SCAN) on crystalline NaAg2 at its relaxed geometry.

Unit cell a=5.5951 b=5.5951 c=5.5951 alpha=60.00 beta=60.00 gamma=60.00
Sites, in units of the cell vectors:
Na: 0.1250 0.1250 0.1250
Na: 0.8750 0.8750 0.8750
Ag: 0.0000 0.5000 0.5000
Ag: 0.5000 0.0000 0.5000
Ag: 0.5000 0.5000 0.0000
Ag: 0.5000 0.5000 0.5000

Properties
formation enthalpy at 0 K = -8 kJ/mol of atoms
total DFT energy (no corrections) = -46.512 eV per formula unit

~~~~~

Record 1
This record from the Materials Project database describes Zr2FeS4 after structural relaxation. The functional is PBE.

The structure in CIF format:
```
data_Zr2FeS4
_cell_length_a 13.551
_cell_length_b 3.682
_cell_length_c 6.322
_cell_angle_alpha 90.00
_cell_angle_beta 117.73
_cell_angle_gamma 90.00
_space_group_name_H-M_alt 'C 1 m 1'
_space_group_IT_number 8
loop_
_space_group_symop_operation_xyz
'x,y,z'
'x,-y,z'
'x+1/2,y+1/2,z'
'x+1/2,-y+1/2,z'
loop_
_atom_site_label
_atom_site_type_symbol
_atom_site_fract_x
_atom_site_fract_y
_atom_site_fract_z
Zr1 Zr 0.000 0.000 0.000
Zr2 Zr 0.004 0.500 0.485
Fe1 Fe 0.323 0.000 0.976
S1 S 0.128 0.500 0.283
S2 S 0.129 0.000 0.780
S3 S 0.371 0.500 0.199
S4 S 0.379 0.000 0.693
```

calculated volume = 279.2 Å³ per cell
total DFT energy (no corrections) = -7.301 eV per atom
formation energy from the elements = -1.572 eV/atom

Record 2
____________
– Father Nick Adam, vocation director
(For more information on vocations, visit jacksonvocations.com or contact Father Nick Adam at (601) 969-4020 or nick.adam@jacksondiocese.org.)